== Data ==
~~~
Record 1
The following is a PBE calculation of crystalline PuNbAs at its relaxed geometry, from OQMD.

E ... -8.997 eV per atom
SG ... F-43m, No. 216

Lattice parameters (Å, degrees): 4.603 4.603 4.603 60.00 60.00 60.00
Fractional coordinates of all 3 atoms:
Pu 0.000 0.000 0.000
Nb 0.250 0.250 0.250
As 0.750 0.750 0.750

Record 2
The following is a PBE calculation of crystalline AlTcNO at its relaxed geometry, from OQMD.

E ... -7.869 eV per atom
SG ... Pmc2_1, No. 26
Distance to the lowest polymorph of the same formula ... 0.296 eV per atom

Lattice parameters (Å, degrees): 3.034 5.837 4.935 90.00 90.00 90.00
Fractional coordinates of all 8 atoms:
Al 0.000 0.154 0.000
Al 0.000 0.846 0.500
Tc 0.500 0.409 0.460
Tc 0.500 0.591 0.960
N 0.500 0.265 0.844
N 0.500 0.735 0.344
O 0.000 0.141 0.366
O 0.000 0.859 0.866

Record 3
The following is a PBE calculation of crystalline ErTlHgS3 at its relaxed geometry, from OQMD.

E ... -4.200 eV per atom
SG ... Pnma, No. 62
Distance to the lowest polymorph of the same formula ... 0.056 eV per atom

Lattice parameters (Å, degrees): 12.109 4.068 12.468 90.00 90.00 90.00
Fractional coordinates of all 24 atoms:
Er 0.039 0.250 0.160
Er 0.461 0.750 0.660
Er 0.539 0.250 0.340
Er 0.961 0.750 0.840
Tl 0.147 0.250 0.525
Tl 0.353 0.750 0.025
Tl 0.647 0.250 0.975
Tl 0.853 0.750 0.475
Hg 0.247 0.750 0.318
Hg 0.253 0.250 0.818
Hg 0.747 0.750 0.182
Hg 0.753 0.250 0.682
S 0.038 0.750 0.309
S 0.086 0.250 0.935
S 0.241 0.750 0.674
S 0.259 0.250 0.174
S 0.414 0.750 0.435
S 0.462 0.250 0.809
S 0.538 0.750 0.191
S 0.586 0.250 0.565
S 0.741 0.750 0.826
S 0.759 0.250 0.326
S 0.914 0.750 0.065
S 0.962 0.250 0.691

Record 4
The following is a PBE calculation of crystalline Sm2Pt at its relaxed geometry, from OQMD.

E ... -4.591 eV per atom
SG ... Fd-3m, No. 227
Formation energy from the elements ... 0.57 eV per atom

Lattice parameters (Å, degrees): 8.806 8.806 8.806 60.00 60.00 60.00
Fractional coordinates of all 6 atoms:
Sm 0.000 0.000 0.000
Sm 0.000 0.000 0.500
Sm 0.000 0.500 0.000
Sm 0.500 0.000 0.000
Pt 0.125 0.125 0.125
Pt 0.875 0.875 0.875

Record 5
The following is a PBE calculation of crystalline YNb3B at its relaxed geometry, from OQMD.

E ... -6.598 eV per atom
SG ... P6_3/mmc, No. 194

Lattice parameters (Å, degrees): 7.414 7.414 5.324 90.00 90.00 120.00
Fractional coordinates of all 10 atoms:
Y 0.333 0.667 0.250
Y 0.667 0.333 0.750
Nb 0.100 0.550 0.750
Nb 0.450 0.550 0.750
Nb 0.450 0.900 0.750
Nb 0.550 0.100 0.250
Nb 0.550 0.450 0.250
Nb 0.900 0.450 0.250
B 0.000 0.000 0.250
B 0.000 0.000 0.750

Record 6
The following is a PBE calculation of crystalline TbTaGa at its relaxed geometry, from OQMD.

E ... -6.202 eV per atom
SG ... F-43m, No. 216

Lattice parameters (Å, degrees): 4.611 4.611 4.611 60.00 60.00 60.00
Fractional coordinates of all 3 atoms:
Tb 0.000 0.000 0.000
Ta 0.500 0.500 0.500
Ga 0.750 0.750 0.750

=====

First-principles (PBE with a Hubbard U) data for a relaxed structure of LiMn3O6, as listed in Alexandria via LeMat-Bulk.

Results
calculated total energy = -136.459 eV per cell
D(E_F) = 0.25 states/eV per atom
excess energy over the best structure of this formula in the dataset = 139 meV per atom

Cell: 5.016 6.339 6.339 Å, 103.63 90.00 90.00°
Fractional positions:
Li 0.993 0.160 0.840
Mn 0.957 0.076 0.314
Li 0.493 0.840 0.160
O 0.628 0.219 0.781
O 0.301 0.028 0.972
O 0.164 0.363 0.303
O 0.204 0.441 0.885
O 0.664 0.637 0.697
Mn 0.914 0.615 0.385
Mn 0.957 0.686 0.924
O 0.128 0.781 0.219
O 0.801 0.972 0.028
O 0.704 0.559 0.115
O 0.164 0.697 0.637
O 0.204 0.115 0.559
O 0.664 0.303 0.363
Mn 0.414 0.385 0.615
Mn 0.457 0.924 0.686
Mn 0.457 0.314 0.076
O 0.704 0.885 0.441
~~~

== Exercise ==
Your job: print everything further up exactly.

== Completed ==
Record 1
The following is a PBE calculation of crystalline PuNbAs at its relaxed geometry, from OQMD.

E ... -8.997 eV per atom
SG ... F-43m, No. 216

Lattice parameters (Å, degrees): 4.603 4.603 4.603 60.00 60.00 60.00
Fractional coordinates of all 3 atoms:
Pu 0.000 0.000 0.000
Nb 0.250 0.250 0.250
As 0.750 0.750 0.750

Record 2
The following is a PBE calculation of crystalline AlTcNO at its relaxed geometry, from OQMD.

E ... -7.869 eV per atom
SG ... Pmc2_1, No. 26
Distance to the lowest polymorph of the same formula ... 0.296 eV per atom

Lattice parameters (Å, degrees): 3.034 5.837 4.935 90.00 90.00 90.00
Fractional coordinates of all 8 atoms:
Al 0.000 0.154 0.000
Al 0.000 0.846 0.500
Tc 0.500 0.409 0.460
Tc 0.500 0.591 0.960
N 0.500 0.265 0.844
N 0.500 0.735 0.344
O 0.000 0.141 0.366
O 0.000 0.859 0.866

Record 3
The following is a PBE calculation of crystalline ErTlHgS3 at its relaxed geometry, from OQMD.

E ... -4.200 eV per atom
SG ... Pnma, No. 62
Distance to the lowest polymorph of the same formula ... 0.056 eV per atom

Lattice parameters (Å, degrees): 12.109 4.068 12.468 90.00 90.00 90.00
Fractional coordinates of all 24 atoms:
Er 0.039 0.250 0.160
Er 0.461 0.750 0.660
Er 0.539 0.250 0.340
Er 0.961 0.750 0.840
Tl 0.147 0.250 0.525
Tl 0.353 0.750 0.025
Tl 0.647 0.250 0.975
Tl 0.853 0.750 0.475
Hg 0.247 0.750 0.318
Hg 0.253 0.250 0.818
Hg 0.747 0.750 0.182
Hg 0.753 0.250 0.682
S 0.038 0.750 0.309
S 0.086 0.250 0.935
S 0.241 0.750 0.674
S 0.259 0.250 0.174
S 0.414 0.750 0.435
S 0.462 0.250 0.809
S 0.538 0.750 0.191
S 0.586 0.250 0.565
S 0.741 0.750 0.826
S 0.759 0.250 0.326
S 0.914 0.750 0.065
S 0.962 0.250 0.691

Record 4
The following is a PBE calculation of crystalline Sm2Pt at its relaxed geometry, from OQMD.

E ... -4.591 eV per atom
SG ... Fd-3m, No. 227
Formation energy from the elements ... 0.57 eV per atom

Lattice parameters (Å, degrees): 8.806 8.806 8.806 60.00 60.00 60.00
Fractional coordinates of all 6 atoms:
Sm 0.000 0.000 0.000
Sm 0.000 0.000 0.500
Sm 0.000 0.500 0.000
Sm 0.500 0.000 0.000
Pt 0.125 0.125 0.125
Pt 0.875 0.875 0.875

Record 5
The following is a PBE calculation of crystalline YNb3B at its relaxed geometry, from OQMD.

E ... -6.598 eV per atom
SG ... P6_3/mmc, No. 194

Lattice parameters (Å, degrees): 7.414 7.414 5.324 90.00 90.00 120.00
Fractional coordinates of all 10 atoms:
Y 0.333 0.667 0.250
Y 0.667 0.333 0.750
Nb 0.100 0.550 0.750
Nb 0.450 0.550 0.750
Nb 0.450 0.900 0.750
Nb 0.550 0.100 0.250
Nb 0.550 0.450 0.250
Nb 0.900 0.450 0.250
B 0.000 0.000 0.250
B 0.000 0.000 0.750

Record 6
The following is a PBE calculation of crystalline TbTaGa at its relaxed geometry, from OQMD.

E ... -6.202 eV per atom
SG ... F-43m, No. 216

Lattice parameters (Å, degrees): 4.611 4.611 4.611 60.00 60.00 60.00
Fractional coordinates of all 3 atoms:
Tb 0.000 0.000 0.000
Ta 0.500 0.500 0.500
Ga 0.750 0.750 0.750

=====

First-principles (PBE with a Hubbard U) data for a relaxed structure of LiMn3O6, as listed in Alexandria via LeMat-Bulk.

Results
calculated total energy = -136.459 eV per cell
D(E_F) = 0.25 states/eV per atom
excess energy over the best structure of this formula in the dataset = 139 meV per atom

Cell: 5.016 6.339 6.339 Å, 103.63 90.00 90.00°
Fractional positions:
Li 0.993 0.160 0.840
Mn 0.957 0.076 0.314
Li 0.493 0.840 0.160
O 0.628 0.219 0.781
O 0.301 0.028 0.972
O 0.164 0.363 0.303
O 0.204 0.441 0.885
O 0.664 0.637 0.697
Mn 0.914 0.615 0.385
Mn 0.957 0.686 0.924
O 0.128 0.781 0.219
O 0.801 0.972 0.028
O 0.704 0.559 0.115
O 0.164 0.697 0.637
O 0.204 0.115 0.559
O 0.664 0.303 0.363
Mn 0.414 0.385 0.615
Mn 0.457 0.924 0.686
Mn 0.457 0.314 0.076
O 0.704 0.885 0.441